I was running late,again.It was starting to become a disturbing trend.By the time I returned to the room, there wasn't enough time to shower so I threw on some clothes and slipped out to meet Nicole before Andrew even stirred from his bed.
Thank goodness.I didn't think I could hold a normal conversation with him when all I could think of was Leo and the way he looked at me, full of desire and longing.Was it possible to still have feelings for someone after six years?I needed to get a hold of myself.
But it was possible.I didn't need someone to tell me; I could see it.It was in the way he held my gaze and wouldn't let me look away.In the way he touched me, and stroked my skin with his thumb without even realizing it.It was in the sound of his voice, the way he said my name.But most frightening, it was in the way I felt when I looked at him.
The sharp ring of the elevator arriving interrupted my thoughts.It was Nicole's wedding day.The last thing I had time for was...whatever it was.Nicole was likely pulling her hair out with stress and I was obsessing about someone, something from six years ago.
I squeezed myself into the elevator with a handful of tourists and their giant suitcases and went down to the lobby to find her so I could play my role of maid of honor.
**Data records that have nothing to do with the piece:**
=====
<a>
{"formula": "Li2VPO4F", "functional": "GGA+U", "state": "relaxed", "lattice_angstrom": [[-3.284, -4.034, 1.651], [-6.574, 0.001, -4.122], [3.279, -4.034, -9.073]], "species": ["Li", "Li", "Li", "Li", "Li", "Li", "Li", "Li", "V", "V", "V", "V", "P", "P", "P", "P", "O", "O", "O", "O", "O", "O", "O", "O", "O", "O", "O", "O", "O", "O", "O", "O", "F", "F", "F", "F"], "fractional_positions": [[0.495, 0.532, 0.812], [0.995, 0.032, 0.312], [0.715, 0.565, 0.591], [0.215, 0.065, 0.091], [0.311, 0.666, 0.267], [0.811, 0.166, 0.767], [0.307, 0.295, 0.272], [0.807, 0.795, 0.772], [0.501, 0.999, 0.501], [0.252, 0.249, 0.750], [0.001, 0.499, 0.001], [0.752, 0.749, 0.250], [0.658, 0.197, 0.053], [0.158, 0.697, 0.553], [0.343, 0.802, 0.948], [0.843, 0.303, 0.448], [0.855, 0.292, 0.094], [0.355, 0.792, 0.594], [0.318, 0.483, 0.630], [0.818, 0.983, 0.130], [0.166, 0.694, 0.903], [0.666, 0.194, 0.403], [0.687, 0.522, 0.381], [0.187, 0.022, 0.881], [0.387, 0.268, 0.095], [0.887, 0.768, 0.595], [0.584, 0.242, 0.896], [0.084, 0.742, 0.396], [0.607, 0.720, 0.902], [0.107, 0.220, 0.402], [0.408, 0.775, 0.102], [0.908, 0.275, 0.602], [0.912, 0.446, 0.804], [0.412, 0.946, 0.304], [0.073, 0.559, 0.191], [0.573, 0.059, 0.691]]}

***

<b>
=====
As it turned out, I was wrong.Nicole wasn't the frazzled mess I'd thought she'd be.In fact, she was waiting for me when I stepped off the elevator.She looked rested and fresh, with her hair pulled back in a ponytail and only the barest of make-up on to compliment her features.
"You look fabulous," I said and meant it.
"Of course I do.I'm getting married today."
"Exactly.I thought you'd be...well, a little more..."
"Stressed?Obsessed?Freaked out?"
"Well, yes."I couldn't help but laugh."You have to admit, Nic.You have a history of getting a little worked up before major events, and today's event rates pretty high on the major scale."
"That's just it," Nicole said."There is nothing more major than my wedding.And I decided to try a different approach.Instead of pulling my usual freak-out, I've decided to be Zen."
"You've decided to be Zen?"
# Calculated crystals from another source follow
- - -
(1)
The following is a DFT calculation (GGA+U) of a geometry-optimized Li5Mn8B8O24 structure.

a b c (Å): 5.2674 9.1469 11.4648
angles (deg): 67.98 77.34 89.83
Atoms (fractional coordinates):
Li (0.0000, 0.0000, 0.0000)
Li (0.0141, 0.0404, 0.2550)
Li (0.2342, 0.2919, 0.4803)
Li (0.5137, 0.5298, 0.9677)
Li (0.7118, 0.7681, 0.4968)
Mn (0.2115, 0.9350, 0.5240)
Mn (0.2200, 0.6225, 0.7677)
Mn (0.4742, 0.8349, 0.0313)
Mn (0.4967, 0.2244, 0.2648)
Mn (0.7078, 0.4033, 0.5271)
Mn (0.7776, 0.1107, 0.7723)
Mn (0.9769, 0.3262, 0.0152)
Mn (0.9956, 0.6841, 0.2764)
B (0.2031, 0.5807, 0.5297)
B (0.2788, 0.9353, 0.7956)
B (0.4591, 0.1561, 0.0342)
B (0.5008, 0.8796, 0.2737)
B (0.7148, 0.0892, 0.5165)
B (0.7508, 0.4509, 0.7659)
B (0.9701, 0.6636, 0.0161)
B (0.9792, 0.3624, 0.2880)
O (0.0862, 0.7571, 0.0665)
O (0.1191, 0.0420, 0.8179)
O (0.1335, 0.5707, 0.9608)
O (0.1943, 0.1295, 0.0522)
O (0.2281, 0.3700, 0.2991)
O (0.2286, 0.8507, 0.7234)
O (0.2960, 0.6902, 0.5747)
O (0.3447, 0.4589, 0.5237)
O (0.3452, 0.9836, 0.3143)
O (0.3885, 0.7916, 0.2169)
O (0.4776, 0.1299, 0.4854)
O (0.5059, 0.9071, 0.8443)
O (0.5638, 0.2815, 0.0550)
O (0.5905, 0.5587, 0.7853)
O (0.6325, 0.0551, 0.9970)
O (0.6875, 0.3457, 0.7108)
O (0.7106, 0.6585, 0.0234)
O (0.7488, 0.8605, 0.2927)
O (0.7997, 0.4525, 0.3393)
O (0.8309, 0.9597, 0.5079)
O (0.8461, 0.1892, 0.5589)
O (0.8961, 0.2717, 0.2271)
O (0.9690, 0.6048, 0.4890)
O (0.9887, 0.4318, 0.8055)

Results
formation enthalpy at 0 K: -2443 meV/atom
polymorph energy (0 for the lowest one): 3 meV/atom
magnetization: 37.001 μB/f.u.
E (MP2020): -364.97 eV/f.u.
space group: P1 (1)

(2)
The following is a DFT calculation (GGA+U) of a geometry-optimized K2Co3H6S3O16 structure.

a b c (Å): 9.7742 9.7742 9.9140
angles (deg): 90.00 90.00 46.40
Atoms (fractional coordinates):
K (0.1506, 0.2349, 0.0000)
K (0.2349, 0.1506, 0.5000)
K (0.7651, 0.8494, 0.0000)
K (0.8494, 0.7651, 0.5000)
Co (0.1981, 0.8019, 0.2406)
Co (0.3812, 0.4479, 0.9555)
Co (0.4479, 0.3812, 0.4555)
Co (0.5521, 0.6188, 0.9555)
Co (0.6188, 0.5521, 0.4555)
Co (0.8019, 0.1981, 0.7406)
H (0.0950, 0.7361, 0.7942)
H (0.0993, 0.5708, 0.7908)
H (0.2032, 0.7968, 0.9928)
H (0.2639, 0.9050, 0.7942)
H (0.4292, 0.9007, 0.7908)
H (0.4757, 0.5243, 0.7410)
H (0.5243, 0.4757, 0.2410)
H (0.5708, 0.0993, 0.2908)
H (0.7361, 0.0950, 0.2942)
H (0.7968, 0.2032, 0.4928)
H (0.9007, 0.4292, 0.2908)
H (0.9050, 0.2639, 0.2942)
S (0.1313, 0.5190, 0.2261)
S (0.1834, 0.8166, 0.5600)
S (0.4810, 0.8687, 0.2261)
S (0.5190, 0.1313, 0.7261)
S (0.8166, 0.1834, 0.0600)
S (0.8687, 0.4810, 0.7261)
O (0.0248, 0.4719, 0.7047)
O (0.0487, 0.7178, 0.2332)
O (0.0639, 0.9361, 0.4414)
O (0.0801, 0.9199, 0.6886)
O (0.1157, 0.6402, 0.8508)
O (0.2256, 0.6383, 0.5599)
O (0.2276, 0.4207, 0.3568)
O (0.2660, 0.4150, 0.1118)
O (0.2822, 0.9513, 0.2332)
O (0.3133, 0.6867, 0.0424)
O (0.3598, 0.8843, 0.8508)
O (0.3617, 0.7744, 0.5599)
O (0.4150, 0.2660, 0.6118)
O (0.4207, 0.2276, 0.8568)
O (0.4509, 0.5491, 0.3212)
O (0.4719, 0.0248, 0.2047)
- - -
"That's right.It's all mental," Nicole said and tugged on my arm."Come on, we're going to be late.I've booked us in for the works.I love you, Lex, but seriously, when was the last time you had a facial?"
I touched my skin."There's nothing wrong with my face."
"You're all red and blotchy.But don't worry, we'll get it fixed."
We walked through the main lobby, past a restaurant and through a bank of slot machines before Nicole led me down another corridor and into the spa.Stepping through the heavy glass doors was like walking into an oasis of calm.Trickling walls of water flanked both sides of the small reception area and gentle pipe music floated through the space.It was a very different world from the flashing lights, blaring top-forty music, and atmosphere of excess on the other side of the doors.I exhaled.This would be the perfect place to let my mind go blank and forget about Leo.
After checking in, we were led to an equally peaceful changing room with bamboo mats laid over polished pebble floors; the scent of vanilla incense filled the room in the subtle way only spas seem to manage.
"What are you going to do with your hair?"Nicole lifted my still damp ponytail off my back."Eww.You smell like pool water."She dropped my hair and looked at me."Were you swimming this morning?"
• What comes next are crystal structures, not part of the text:
Entry 1:
# Sm4CrS7 (GGA-PBE, optimized geometry)
# Total energy, eV for the cell shown: -153.70
# Calculated volume, A^3/atom: 23.490
# Energy of formation from the pure elements, kJ per mole of atoms: -184.0
# Symmetry: P2_1, No. 4
# Crystal system: monoclinic
# MP2020-corrected energy, eV per atom: -6.70
data_Sm4CrS7
_space_group_name_H-M_alt 'P 1'
_space_group_IT_number 1
_cell_length_a 10.0069
_cell_length_b 6.4839
_cell_length_c 10.0095
_cell_angle_alpha 90.00
_cell_angle_beta 119.77
_cell_angle_gamma 90.00
loop_
_space_group_symop_operation_xyz
'x,y,z'
loop_
_atom_site_label
_atom_site_type_symbol
_atom_site_fract_x
_atom_site_fract_y
_atom_site_fract_z
S1 S 0.7444 0.8056 0.8942
Sm1 Sm 0.7504 0.7337 0.6010
Cr1 Cr 0.3323 0.6538 0.6672
S2 S 0.1500 0.8054 0.2554
S3 S 0.4180 0.4900 0.9030
S4 S 0.0959 0.4900 0.5146
S5 S 0.2556 0.3056 0.1058
S6 S 0.5148 0.9913 0.4175
Sm2 Sm 0.1495 0.2333 0.7499
Sm3 Sm 0.0001 0.0490 0.0001
S7 S 0.8937 0.3055 0.1498
S8 S 0.6664 0.5195 0.3339
Sm4 Sm 0.9999 0.5490 0.9999
S9 S 0.1063 0.8055 0.8502
Sm5 Sm 0.3989 0.7330 0.1500
Sm6 Sm 0.8505 0.7333 0.2501
S10 S 0.9041 0.9900 0.4854
Sm7 Sm 0.2496 0.2337 0.3990
Cr2 Cr 0.6677 0.1538 0.3328
S11 S 0.5820 0.9900 0.0970
S12 S 0.8500 0.3054 0.7446
S13 S 0.4852 0.4913 0.5825
Sm8 Sm 0.6011 0.2330 0.8500
S14 S 0.3336 0.0195 0.6661

=====

Entry 2:
# Sm4CrS7 (GGA-PBE, optimized geometry)
# Total energy, eV for the cell shown: -155.37
# Calculated volume, A^3/atom: 23.307
# Energy of formation from the pure elements, kJ per mole of atoms: -190.8
# Symmetry: P6_3, No. 173
# Crystal system: hexagonal
# MP2020-corrected energy, eV per atom: -6.77
data_Sm4CrS7
_space_group_name_H-M_alt 'P 1'
_space_group_IT_number 1
_cell_length_a 9.7821
_cell_length_b 9.7821
_cell_length_c 6.7500
_cell_angle_alpha 90.00
_cell_angle_beta 90.00
_cell_angle_gamma 120.00
loop_
_space_group_symop_operation_xyz
'x,y,z'
loop_
_atom_site_label
_atom_site_type_symbol
_atom_site_fract_x
_atom_site_fract_y
_atom_site_fract_z
Sm1 Sm 0.3333 0.6667 0.1676
S1 S 0.8648 0.0983 0.8067
S2 S 0.2335 0.1352 0.8067
S3 S 0.4909 0.9286 0.9565
S4 S 0.4377 0.5091 0.9565
Cr1 Cr 0.0000 0.0000 0.5368
S5 S 0.3333 0.6667 0.5554
S6 S 0.5091 0.0714 0.4565
Sm2 Sm 0.1507 0.3758 0.7155
Sm3 Sm 0.8493 0.6242 0.2155
S7 S 0.1352 0.9017 0.3067
S8 S 0.7665 0.8648 0.3067
Sm4 Sm 0.6242 0.7749 0.7155
Sm5 Sm 0.7749 0.1507 0.2155
Cr2 Cr 0.0000 0.0000 0.0368
S9 S 0.0983 0.2335 0.3067
S10 S 0.5623 0.4909 0.4565
S11 S 0.9017 0.7665 0.8067
Sm6 Sm 0.6667 0.3333 0.6676
S12 S 0.0714 0.5623 0.9565
S13 S 0.9286 0.4377 0.4565
Sm7 Sm 0.2251 0.8493 0.7155
S14 S 0.6667 0.3333 0.0554
Sm8 Sm 0.3758 0.2251 0.2155

=====

Entry 3:
# Cr3SnS8 (GGA-PBE, optimized geometry)
# Total energy, eV for the cell shown: -71.51
# Calculated volume, A^3/atom: 20.124
# Energy of formation from the pure elements, kJ per mole of atoms: -76.2
# Symmetry: Cm, No. 8
# Crystal system: monoclinic
# MP2020-corrected energy, eV per atom: -6.29
data_Cr3SnS8
_space_group_name_H-M_alt 'P 1'
I turned away from her and pulled my t-shirt over my head.I was an awful liar, mostly because everything I was feeling, ever, showed on my face."I went for a quick swim before breakfast," I said.I tugged off my shorts and slid into the thickest, plushest robe I'd ever seen.It was like being wrapped in a cloud.
"I didn't think you did that anymore.Swim, I mean," Nicole said."What made you decide to do that this morning?I assumed you were late because you and Andrew, well..."
"I don't know," I said, ignoring her comment."I felt like it.So I did."I stuffed my clothes in a locker and turned the lock before slipping the key into the pocket of the robe.
"Okay."Nicole took the locker next to me."It just seems weird.But I suppose last time we were here, you saw—"
"So," I interrupted her before she could finish her thought.I needed to block Leo from my thoughts, not discuss him with Nicole in every detail.Which is exactly what would happen if I didn't change the subject.I grabbed her hand and led her out to the waiting area."Tell me about this theory of yours.I think I could use some Zen calmness today."
It worked.Once I got her talking about anything that interested her, she was infamous for forgetting about everything else.Which, fortunately, kept the conversation firmly on her and off the topic of my morning swim.True to her word, Nicole had booked us in for the works and she'd asked for us to have the "girlfriend experience," which meant we got to do everything together.
The topic of being Zen may induce calm in most people, but for Nicole it incited a wave of excitement.She chattered about the new meditation class Ryan had signed them up for a few weeks previously and how the breathing techniques helped calm her down and focus on her center.I couldn't help but wonder where those techniques were a few days ago when she'd freaked out.But I didn't think it was appropriate to ask.
Nicole is a hand talker, which wasn't ideal for the manicurist who patiently waited with her nail file at the ready every time Nic needed to punctuate a point by waving her hand in the air.For two hours, I listened to her as the conversation deviated from breathing exercises to her sex life with Ryan, to the paint colors she was considering for the condo they were redecorating.For a while I was so thankful that we weren't talking about me that I didn't realize that what Nicole wasn't saying was more important than what she was saying.
"Nic."I interrupted her before she could start in on the tile samples she was considering."Have you talked to your mom today?"